Computer Networks: SSL/TLS


Networks: SSL/TLS


SSL and TLS • Secure Socket Layer (SSL) • Early protocol for securing web connections • Developed and patented in the 90s by team led by Taher Elgamal at Netscape

• Transport Layer Security (TLS) • Evolution of SSL • Standardized by IETF • TLS 1.0 RFC 2246 (1999) • TLS 1.2 RFC 5246 (2008) 3/21/16

… method of encrypting and decrypting information transferred over a network between a client ... and a server … •

providing a socket application program interface to an application layer program;

providing encrypted information to transport protocol layer services; …

Source: Alexander Klink via Wikipedia

Networks: SSL/TLS


From SSL to TLS: RFC 2246 The IETF is currently considering adopting SSL as a transport protocol with security features. Netscape encourages the royalty-free adoption and use of the SSL protocol upon the following terms and conditions: [ … ] 3/21/16

you may have a royalty free license to build implementations covered by the SSL Patent Claims or the IETF TLS specification provided that you do not to assert any patent rights against Netscape or other companies for the implementation of SSL or the IETF TLS recommendation.

Networks: SSL/TLS


Goals of SSL/TLS • Optional client authentication

• End-to End Confidentiality •

Encrypt communication between client and server applications

• End-to-End Integrity •

• Modular deployment

Detect corruption of communication between client and server applications

• Required server authentication • 3/21/16

Identity of client optionally proved to client

Identity of server always proved to client Networks: SSL/TLS

• Intermediate layer between application and transport layers • Handles encryption, integrity, and authentication on behalf of client and server applications


Certificates • Public key certificate • •


• Certificate fields

Assurance by a third party that a public key is associated with an identity E.g., Comodo Group certifies that the RSA public key below is associated with Brown's web server B4 B5 BA DF 3A D5 29 FA C6 C9 16 85 EF 3D 13 F0 FA 3B A0 EE CA DA 5E 42 CB 1D 18 52 80 F0 78 AA D4 09 3D EE 3D 0C 68 FA C6 42 6F 49 0C DB 9B CB 0F D8 2A D0 31 99 ED 56 5B 2E 19 7E 57 E2 C1 80 C1 C8 4B F6 9B EF E7 B0 C5 90 0D AD 15 97 0D 47 56 99 A9 59 A5 06 83 26 FB ED E4 A8 75 04 7A 47 81 E4 DA 51 60 D7 08 C7 A8 9C F8 98 F2 B0 FD 22 5E AD 74 1D E0 AC 24 6D DB 2C 2F FB 39 E8 59 A4 45 6F DF 91 88 F5 05 87 5D 4C 53 75 B2 42 D9 F4 0D C0 74 4B EE AD 63 88 95 15 4C 6B 3F 97 5E 77 13 B9 74 C9 B2 21 FE 4A 4D 45 7F C0 38 00 A7 23 07 43 F7 6D 12 A4 89 E1 4B 85 3F 35 9C 5A 86 2B A8 16 EA AE C1 5D F2 C2 10 5D 4B 4A 2D 34 06 5A 2E 6E 7F B0 78 CD 23 3B B8 17 EF E4 65 3F CC 97 5F AA F7 E2 E9 CC F9 37 C2 DF E5 DB 47 17 D2 6F 0C 98 05 9E C0 0F 57 58 A1 AE 32 BB 70 AD BA F9

• • • • • • •

Issuer aka certificate authority (Comodo) Subject (Brown; Public-key cryptosystem of subject (RSA2048) Subject's public key Validity period (2/18/15-2/18/18) Hash function (SHA256) and publickey cryptosystem (RSA2048) of issuer Signature by the issuer

Networks: SSL/TLS


Chain of Trust and Revocation • Certificate revocation

• Transitive trust •

If we trust the (public key of) the issuer, we trust the (public key of) the subject

The issuer can be the subject of another certificate

Chain of certificates

Root of trust?

Certificates preconfigure stored in the operating system


• •

Mechanism to invalidate a previously issued certificate E.g., when private key of the subject is compromised

• Revocation methods • •

Networks: SSL/TLS

List of revoked certificates posted on CA's website Online verification service provided by CA 6

TLS Building Blocks Confidentiality Integrity Setup

Public-key encryption (e.g, RSA)

Data Symmetric transmission encryption (e.g., AES)



Public-key Public-key digital signature digital signature (e.g., RSA) (e.g., RSA) Cryptographic hashing (e.g., SHA256)

Networks: SSL/TLS


TLS Overview (Simplified) •

Browser sends supported crypto algorithms

Server picks strongest algorithms it supports

• •

Server sends certificate (chain) Client verifies certificate (chain)

Client and server agree on secret value by exchanging messages

Secret value is used to derive keys for symmetric encryption and hash-based authentication of subsequent data transfer


Proposed crypto Selected crypto

Web Browser Verify certificate Derive keys

Web Security


Web Server

Key exchange Data transfer

Derive keys


Basic Key Exchange • Called RSA key exchange for R = random() historical reasons • Client generates random C = EPK(R) value R Web • Client encrypts R with public Browser key, PK, of server C = EPK(R) • Client sends C to server • Server decrypts C with private key, SK, of server R = DSK(C) 21/03/16

Web Security


Web Server R = DSK(C)


Diffie Hellman Key Exchange Source: ACM

Achieves forward secrecy

Source: ACM

Public parameters: prime p and generator g of Zp

x = rand()

y = rand()

Client generates random x and computes X = gx mod p

X = gx mod p

Y = gy mod p

Server generates random y and computes Y = gy mod p

Client sends X to server

Server sends Y to client

Materials data from another source follow >
- - -
Record 1
# BP2C
Simulated powder X-ray diffraction pattern, Cu Kα, 1.54184 Å. Input: a DFT-relaxed cell (PBE, Alexandria).
Lines closer than 0.1° are merged.

Structure:
```
data_BP2C
_chemical_formula_sum 'B1 P2 C1'
_cell_length_a 3.0342
_cell_length_b 4.0176
_cell_length_c 4.0718
_cell_angle_alpha 80.33
_cell_angle_beta 74.02
_cell_angle_gamma 74.42
_symmetry_space_group_name_H-M 'P 1'
_symmetry_Int_Tables_number 1
_symmetry_space_group_name_Hall 'P 1'
loop_
_atom_site_label
_atom_site_type_symbol
_atom_site_fract_x
_atom_site_fract_y
_atom_site_fract_z
_atom_site_occupancy
B1 B 0.0000 0.0000 0.0000 1
P1 P 0.3744 0.0300 0.2987 1
P2 P 0.8868 0.4311 0.6823 1
C1 C 0.2689 0.7234 0.7017 1
```

The 10 most intense peaks (2θ from 15° to 90°), in order of rising 2θ:
two_theta, I (rel.)
22.8, 19
31.0, 62
34.4, 100
34.6, 38
35.6, 33
43.8, 47
47.2, 15
50.3, 16
50.7, 15
60.7, 15

***

Record 2
# HfTi5Te4
Simulated powder X-ray diffraction pattern, Cu Kα, 1.54184 Å. Input: a DFT-relaxed cell (PBE, Alexandria).
Lines closer than 0.1° are merged.

Structure:
```
data_HfTi5Te4
_chemical_formula_sum 'Hf2 Ti10 Te8'
_cell_length_a 7.7692
_cell_length_b 9.1755
_cell_length_c 6.7466
_cell_angle_alpha 90.00
_cell_angle_beta 90.00
_cell_angle_gamma 90.00
_symmetry_space_group_name_H-M 'P m m n'
_symmetry_Int_Tables_number 59
loop_
_symmetry_equiv_pos_as_xyz
'x,y,z'
'-x,-y,-z'
'-x+1/2,-y+1/2,z'
'x+1/2,y+1/2,-z'
'x+1/2,-y,-z'
'-x+1/2,y,z'
'-x,y+1/2,-z'
'x,-y+1/2,z'
loop_
_atom_site_label
_atom_site_type_symbol
_atom_site_fract_x
_atom_site_fract_y
_atom_site_fract_z
_atom_site_occupancy
Hf1 Hf 0.2500 0.2500 0.2421 1
Ti1 Ti 0.0501 0.5131 0.7203 1
Ti2 Ti 0.2500 0.7500 0.7740 1
Te1 Te 0.0129 0.7500 0.4618 1
Te2 Te 0.2500 0.5312 0.0627 1
```

The 10 most intense peaks (2θ from 15° to 90°), in order of rising 2θ:
two_theta, I (rel.)
16.3, 24
17.4, 21
23.4, 63
26.5, 75
28.2, 33
39.3, 34
39.8, 33
40.5, 100
46.5, 18
48.0, 23


Structure and calculated X-ray powder pattern of Li2Ti3FeO8 (a crystal structure in Alexandria, relaxed with GGA+U; a wavelength of 1.5418 Å).
Peak positions follow from Bragg's law for the DFT cell and can differ from measured ones.

Atomic structure:
Cell: 5.9296 5.9296 9.7015 Å, 90.00 90.00 120.00°
Space group P6_3mc (No. 186)
Unique sites:
Li: 0.0000 0.0000 0.0000 [2 per cell]
Li: 0.3333 0.6667 0.1027 [2 per cell]
Ti: 0.1693 0.3386 0.7818 [6 per cell]
Fe: 0.3333 0.6667 0.5067 [2 per cell]
O: 0.0000 0.0000 0.1840 [2 per cell]
O: 0.0376 0.5188 0.6622 [6 per cell]
O: 0.1619 0.3238 0.3943 [6 per cell]
O: 0.3333 0.6667 0.8924 [2 per cell]

Peak list (10 most intense, 10° ≤ 2θ ≤ 90°, low angle first)
- 18.29°, 4.851 Å, I 485, hkl 0 0 2
- 19.56°, 4.539 Å, I 1000, hkl 1 0 1
- 25.26°, 3.526 Å, I 321, hkl 1 0 2
- 32.73°, 2.736 Å, I 360, hkl 1 0 3
- 35.49°, 2.530 Å, I 568, hkl 1 1 2
- 36.19°, 2.482 Å, I 372, hkl 2 0 1
- 39.72°, 2.269 Å, I 403, hkl 2 0 2
- 45.09°, 2.011 Å, I 553, hkl 2 0 3
- 59.74°, 1.548 Å, I 441, hkl 2 0 5
- 62.67°, 1.482 Å, I 402, hkl 2 2 0
- - -
Back to the text >

Client and server compute K = gxy mod p


Web Browser K = Yx mod p

Web Security


Web Server K = Xy mod p


Attacker in the Middle Web Browser

K1 = gxs

X = gx

Y = gy

S = gs

T = gt

K1 = gxs

K2 = gyt

Web Server

K2 = gyt

Solution • Browser and server send signed X and Y respectively • Requires each to know the public key of the other 3/21/16

Networks: SSL/TLS


Attacks on DH Key Exchange • Break the crypto

• Time and effort to crack a DH key

• Discrete log is hard • Can be solved for short, fixed modulus and generator

Someone pasted crystal structures at this point:
+++
La2TiTc2N6: simulated XRD peak list (λ = 1.5418 Å (Cu Kα)), based on a cell relaxed with PBE.

The 12 most intense peaks (2θ = 5–70°), most intense first:
2θ (°)  I_rel
30.06  100.0
32.65  58.8
55.05  28.6
34.44  25.1
16.41  24.0
44.97  23.8
53.39  19.6
62.49  16.3
60.08  13.7
48.29  12.4
66.65  8.9
41.57  7.1

Cell and atoms:
Unit cell a=5.9450 b=5.9450 c=16.2037 alpha=90.00 beta=90.00 gamma=120.00
Space group R-3m (No. 166, hexagonal axes)
One atom of each set of equivalent atoms:
La1 0.0000 0.0000 0.2054 [6 per cell]
Ti1 0.0000 0.0000 0.0000 [3 per cell]
Tc1 0.0000 0.0000 0.4309 [6 per cell]
N1 0.0251 0.5126 0.7471 [18 per cell]

* * * * *

This entry pairs a crystal structure of Rb5Sr with its theoretical powder diffractogram. Radiation: CuKα. Structure: a GGA-PBE-relaxed structure.

Cell and atoms:
Lattice parameters (Å, degrees): 12.757 12.757 5.008 90.00 90.00 143.24
Fractional coordinates of all 6 atoms:
Rb  0.000  0.000  0.000
Rb  0.163  0.837  0.500
Rb  0.337  0.663  0.000
Rb  0.663  0.337  0.000
Rb  0.837  0.163  0.500
Sr  0.500  0.500  0.500

Most intense lines, 10 to 90 degrees two-theta, low angle first:
2θ (°), intensity
22.1, 59
23.7, 100
31.4, 24
35.9, 8
39.7, 50
42.5, 21
48.4, 14
51.5, 11
63.6, 12
67.0, 10

* * * * *

No. 1
Structure and computed powder X-ray diffraction pattern of CaTeAuSeS (the GGA-PBE geometry in Alexandria; copper Kα).

Principal peaks in the range 10° ≤ 2θ ≤ 90°, low angle first:
| 2θ (°) | I (rel.) | h k l |
| --- | --- | --- |
| 10.61 | 100 | 0 0 1 |
| 22.70 | 21 | 0 1 0 |
| 24.42 | 23 | 1 0 0 |
| 25.83 | 46 | 0 1 -1 |
| 28.48 | 38 | 1 1 2 |
| 35.52 | 23 | 1 0 -2 |
| 35.64 | 23 | 1 1 3 |
| 40.69 | 13 | 1 2 1 |
| 41.39 | 14 | 1 -1 1 |
| 42.93 | 15 | -1 1 1 |
| 43.01 | 16 | 2 1 1 |
| 50.85 | 16 | 2 0 2 |

Structural model:
```
CaTeAuSeS
1.0
4.2063 0.0000 0.0000
2.0999 3.9281 0.0000
2.0737 0.6150 8.3385
Ca Te Au Se S
1 1 1 1 1
Direct
0.0000 0.0000 0.0000
0.0846 0.3780 0.4481
0.3613 0.6675 0.6055
0.7689 0.6606 0.7986
0.2617 0.3296 0.1496
```



No. 2
Structure and computed powder X-ray diffraction pattern of CaTeAuSeS (the GGA-PBE geometry in Alexandria; copper Kα).

Principal peaks in the range 10° ≤ 2θ ≤ 90°, low angle first:
| 2θ (°) | I (rel.) | h k l |
| --- | --- | --- |
| 12.83 | 100 | 0 0 1 |
| 22.80 | 13 | 0 1 -1 |
| 25.83 | 36 | 0 0 2 |
| 28.61 | 32 | 1 -1 0 |
| 30.87 | 40 | 1 1 -1 |
| 31.08 | 38 | 1 1 0 |
| 32.77 | 40 | 1 -1 1 |
| 36.68 | 30 | -1 1 2 |
| 39.17 | 20 | 0 0 3 |
| 41.63 | 21 | 0 2 -1 |
| 44.63 | 31 | 2 0 0 |
| 46.45 | 16 | 2 0 -2 |

Structural model:
```
CaTeAuSeS
1.0
4.1754 0.0000 0.0000
-0.2710 4.4485 0.0000
-1.5839 -0.6614 6.8993
Ca Te Au Se S
1 1 1 1 1
Direct
0.0000 0.0000 0.0000
0.0027 0.7569 0.5428
0.5006 0.2901 0.5778
0.4741 0.4828 0.9162
0.6182 0.0309 0.2958
```



No. 3
Structure and computed powder X-ray diffraction pattern of CaTeAuSeS (the GGA-PBE geometry in Alexandria; copper Kα).

Principal peaks in the range 10° ≤ 2θ ≤ 90°, low angle first:
+++
So much for the crystal structures:

• 512 bits: 30 seconds after one-week precomputation at cost of $Ks • 1024 bits: minutes after one-year precomputation at cost of $100Ms

• TLS uses handful of standard • Logjam attack (Adrian+ 2015) moduli with • 512 bits (legacy "export grade") • 1024 bits (recommended)

• TLS standard generator • 2 or 5 3/21/16

• Attacker in the middle • Protocol flaw allowed downgrade of any DH modulus to 512 bits • Fixed when attack disclosed

Networks: SSL/TLS



• RFC 5426 - The Transport Layer Security (TLS) Protocol Version 1.2 (2008) • Logjam attack (2015)


Networks: SSL/TLS